
  • Ruth;Rose;Lucy;fiber show
  1. 露丝姨在家时,对我爱护有加。

    When Aunt Ruth was at home I was surrounded by love .

  2. 露丝是个好幻想的女孩,她常把时间消磨于做白日梦。

    Ruth is a visionary girl , she spends her time daydreaming .

  3. 露丝和她的男朋友在沙发上搂搂抱抱。

    Luce and her boyfriend cuddled on the sofa .

  4. 这是一篇题为《露丝》的手稿。

    This is a manuscript bearing as a title ruth .

  5. 露丝从不喜欢聚会,因为她不善与人交往。

    Rose has never liked parties , as she doesn 't mix in easily .

  6. 当E走下楼梯与D一起共舞时,他们简直可以被拿来与《泰坦尼克》中的杰克和露丝相提并论。

    They have been compared to Jack and Rose from Titanic when Elena walks down the stairs to meet Damon at the dance .

  7. accreditedadj.被认可的,可接受的,委任的露丝总是诚实的,所以她所说的任何话都会被人相信。

    Ruth is always truthful and anything she says will be accredited .

  8. 加入立体效果后,巨轮显得更加奢华,杰克将打算跳海逃生的露丝救上船的场景在3D效果下看来更加惊险,让人有身临其境之感。

    The ship looks all the more sumptuous with the added dimension . The scene where Jack rescues Rose from jumping overboard comes off as more dangerous and intimately revealing in 3-D.

  9. 只不过它也是专门针对微胖界的大码产品。广告公司YARD的联合创始人露丝o伯恩斯坦认为,抓住“身材正能量”运动的机会进行宣传,是LaneBryant公司走出的一步好棋。

    Capitalizing on the the " body-positive " movement is a good move for Lane Bryant , contends Ruth Bernstein , co-founder of YARD advertising agency , whose clients include Henri Bendel and Banana Republic .

  10. 办法之一是捆住早上露丝的双手,正如奥德修斯(Odysseus)命令水手将他捆在桅杆上一样。

    One option is to tie Morning Ruth 's hands , just as Odysseus ordered his sailors to tie him to the mast .

  11. 上周早些时候,谷歌宣布已任命摩根士丹利前首席财务官、金融界重量级人物露丝o波拉特为该公司新任CFO。

    Earlier this week , Google said that it had hired the former chief financial officer of Morgan Stanley and general finance bigwig Ruth Porat to be its new CFO .

  12. 露丝o王认同这种看法。五月份,这位SixFoods公司联合创始人在众筹平台Kickstarter上筹集了7万美元,开始制作Chirps蟋蟀条,她希望这款产品能够在今年秋天进入食品店。

    Rose Wang , co-founder of Six Foods , which in May raised $ 70000 on Kickstarter to make its Chirps cricket chips and hopes to have the product in stores by fall , agrees .

  13. 英国BLM律师事务所的合伙人露丝•格雷厄姆(RuthGraham)认为,在无人驾驶汽车成为可能前,需要解决民事及产品赔偿责任一些关键领域的问题。

    According to Ruth Graham , a partner at UK law firm BLM , there are key areas of civil and product liability that would need to be addressed before driverless cars became possible .

  14. “为参与者设定标准任何专业机构测试的一个重要内容。”SII总经理露丝。马丁说到。

    " Setting standards for practitioners is a vital part of any professional body 's remit ," said Ruth Martin , managing director of SII .

  15. 摩根士丹利(MorganStanley)的前首席财务官(CFO)露丝•波拉特(RuthPorat)不久前为了整整7000万美元跳槽到谷歌(Google)的举动,被视为硅谷对华尔街优势扩大的另一个信号。

    Ruth Porat 's move last week fromMorgan Stanley , where she was chief financial officer , to Google for a cool $ 70m was taken as another sign of Silicon Valley 's increasing edge over Wall Street .

  16. 露丝波拉特(RuthPorat)在2015年树立了一个标杆,她放弃了摩根士丹利(MorganStanley)首席财务官约1300万美元的年薪,跳槽谷歌(如今的Alphabet)获得五倍于此的薪酬。

    Ruth Porat laid down a big marker in 2015 , swapping an annual $ 13m or so salary as CFO of Morgan Stanley for a package at Google ( now Alphabet ) about five times bigger .

  17. 谷歌在应对华尔街的方式上也作出了相同的转变,包括去年聘请摩根士丹利(MorganStanley)高管露丝波拉特(RuthPorat)担任其首席财务官。这一转变已带来回报,推动谷歌控股公司Alphabet的股票价格强劲上涨。

    A similar switch in Google 's dealings with Wall Street , involving the hiring of Morgan Stanley executive Ruth Porat as chief financial officer last year , has paid dividends , contributing to a strong rally in the stock price of its holding company , Alphabet .

  18. 露丝?佩因(RuthPaine)当时与奥斯瓦德的妻子住在一起,她很早就认同了官方对谋杀案的解释,她说:奥斯瓦德绝对干得出杀人的事来,而且所有证据都说明他没有共犯。

    Ruth Paine , the woman with whom Mr. Oswald 's wife lived at the time , long ago concluded that the official account of the assassination made sense : Mr. Oswald was capable of murder , she said , and all evidence pointed to him acting alone .

== Next to the piece, the page also holds data records ==
┌──
Entry 1:
Entry from Alexandria: a relaxed structure of Si2NiAu (PBE).

Its formation energy (no corrections) is -3.5 kJ/mol of atoms. The total energy comes out at -20.050 eV/cell. For the density of states at the Fermi level, the calculation gives 1.1 states/eV per cell.

a b c (Å): 7.962 7.962 7.962
angles (deg): 21.09 21.09 21.09
Positions (direct):
Si  0.240  0.240  0.240
Si  0.760  0.760  0.760
Ni  0.500  0.500  0.500
Au  0.000  0.000  0.000

=====

Entry 2:
Entry from Alexandria: a relaxed structure of Ac8OsRu3Cl4 (PBE).

Its formation energy (no corrections) is -84.9 kJ/mol of atoms. The total energy comes out at -93.389 eV/cell. For the density of states at the Fermi level, the calculation gives 10.2 states/eV per cell.

a b c (Å): 9.358 9.358 9.358
angles (deg): 54.86 54.86 54.86
Positions (direct):
Ac  0.234  0.234  0.234
Ac  0.234  0.734  0.734
Ac  0.266  0.266  0.766
Ac  0.266  0.766  0.266
Ac  0.734  0.234  0.734
Ac  0.734  0.734  0.234
Ac  0.766  0.266  0.266
Ac  0.766  0.766  0.766
Os  0.500  0.500  0.500
Ru  0.000  0.000  0.500
Ru  0.000  0.500  0.000
Ru  0.500  0.000  0.000
Cl  0.000  0.000  0.000
Cl  0.000  0.500  0.500
Cl  0.500  0.000  0.500
Cl  0.500  0.500  0.000

=====

Entry 3:
Entry from Alexandria: a relaxed structure of TaSI2N (PBE).

Its formation energy (no corrections) is 43.2 kJ/mol of atoms. The total energy comes out at -25.168 eV/cell. The value obtained for the energy above the lowest structure with this stoichiometry is 0.000 eV/atom. For the density of states at the Fermi level, the calculation gives 4.7 states/eV per cell.

a b c (Å): 5.678 5.678 3.911
angles (deg): 90.00 90.00 90.00
Positions (direct):
Ta  0.000  0.000  0.000
S  0.500  0.500  0.500
I  0.000  0.500  0.000
I  0.500  0.000  0.000
N  0.000  0.000  0.500

=====

Entry 4:
Entry from Alexandria: a relaxed structure of LiTaPd2 (PBE).

The value obtained for the formation energy is -0.38 eV per atom. The total energy comes out at -25.681 eV/cell. For the density of states at the Fermi level, the calculation gives 3.1 states/eV per cell.

a b c (Å): 2.913 2.913 7.010
angles (deg): 90.00 90.00 90.00
Positions (direct):
Li  0.000  0.000  0.000
Ta  0.000  0.000  0.500
Pd  0.500  0.500  0.227
Pd  0.500  0.500  0.773

=====

Entry 5:
Entry from Alexandria: a relaxed structure of SmYBe (PBE).

The value obtained for the formation energy is 0.10 eV per atom. The total energy comes out at -14.603 eV/cell. The value obtained for the energy above the lowest structure with this stoichiometry is 0.000 eV/atom. For the density of states at the Fermi level, the calculation gives 3.2 states/eV per cell.

a b c (Å): 6.566 6.566 6.566
angles (deg): 148.96 148.96 44.47
Positions (direct):
Sm  0.000  0.000  0.000
Y  0.731  0.731  0.000
Be  0.359  0.359  0.000

=====

Entry 6:
Entry from Alexandria: a relaxed structure of BeNiIr2 (PBE).
└──

  19. 露丝:我发誓。我永不放弃。

    Rose : I promise . I will never let go .

  20. 地方税怎么办?露丝问道。

    What shall we do about the rates ? Asked ruth .

Unrelated to this article: crystal structures
- - -
Arrangement a

! ZnAuC3, relaxed, DFT PBE; values from VASP
&SYSTEM
  ibrav = 0, nat = 5, ntyp = 3
/
ATOMIC_SPECIES
Zn 65.41 Zn.upf
Au 196.97 Au.upf
C 12.01 C.upf
ATOMIC_POSITIONS crystal
Zn 0.0000 0.0000 0.0000
Au 0.5000 0.5000 0.5000
C 0.0000 0.0000 0.5000
C 0.0000 0.5000 0.0000
C 0.5000 0.0000 0.0000
CELL_PARAMETERS angstrom
3.9906 0.0000 0.0000
0.0000 3.9906 0.0000
0.0000 0.0000 3.9906
! Space-group type   Pm-3m (221)
! Total magnetization   0.00 μB per formula unit



Arrangement b

! ZnAuC3, relaxed, DFT PBE; values from VASP
&SYSTEM
  ibrav = 0, nat = 5, ntyp = 3
/
ATOMIC_SPECIES
Zn 65.41 Zn.upf
Au 196.97 Au.upf
C 12.01 C.upf
ATOMIC_POSITIONS crystal
Zn 0.0000 0.0000 0.0000
Au 0.5000 0.5000 0.5000
C 0.0000 0.5000 0.5000
C 0.5000 0.0000 0.5000
C 0.5000 0.5000 0.0000
CELL_PARAMETERS angstrom
4.1714 0.0000 0.0000
0.0000 4.1714 0.0000
0.0000 0.0000 4.1714
! Space-group type   Pm-3m (221)
! Total magnetization   0.00 μB per formula unit



List of relative energies, unit meV per atom: arrangement a 0; arrangement b 153



Arrangement a

! ZrAuC3, relaxed, DFT PBE; values from VASP
&SYSTEM
  ibrav = 0, nat = 5, ntyp = 3
/
ATOMIC_SPECIES
Zr 91.22 Zr.upf
Au 196.97 Au.upf
C 12.01 C.upf
ATOMIC_POSITIONS crystal
Zr 0.0000 0.0000 0.0000
Au 0.5000 0.5000 0.5000
C 0.0000 0.5000 0.5000
C 0.5000 0.0000 0.5000
C 0.5000 0.5000 0.0000
CELL_PARAMETERS angstrom
4.0702 0.0000 0.0000
0.0000 4.0702 0.0000
0.0000 0.0000 4.0702
! Space-group type   Pm-3m (221)
! Total magnetization   0.00 μB per formula unit



Arrangement b

! ZrAuC3, relaxed, DFT PBE; values from VASP
&SYSTEM
  ibrav = 0, nat = 5, ntyp = 3
/
ATOMIC_SPECIES
Zr 91.22 Zr.upf
Au 196.97 Au.upf
C 12.01 C.upf
ATOMIC_POSITIONS crystal
Zr 0.0000 0.0000 0.0000
Au 0.5000 0.5000 0.5000
C 0.0000 0.0000 0.5000
C 0.0000 0.5000 0.0000
C 0.5000 0.0000 0.0000
CELL_PARAMETERS angstrom
4.3583 0.0000 0.0000
0.0000 4.3583 0.0000
0.0000 0.0000 4.3583
! Space-group type   Pm-3m (221)
! Total magnetization   0.00 μB per formula unit



List of relative energies, unit meV per atom: arrangement a 0; arrangement b 46



Arrangement a

! ZrAuC2, relaxed, DFT PBE; values from VASP
&SYSTEM
  ibrav = 0, nat = 8, ntyp = 3
/
ATOMIC_SPECIES
Zr 91.22 Zr.upf
Au 196.97 Au.upf
C 12.01 C.upf
ATOMIC_POSITIONS crystal
Zr 0.0000 0.0000 0.0000
Zr 0.7500 0.2500 0.5000
Au 0.2500 0.7500 0.5000
Au 0.5000 0.5000 0.0000
C 0.1383 0.6250 0.0133
C 0.3750 0.3883 0.5133
C 0.6117 0.1250 0.9867
C 0.8750 0.8617 0.4867
CELL_PARAMETERS angstrom
-2.4109 2.4109 5.3622
2.4109 -2.4109 5.3622
2.4109 2.4109 -5.3622
! Space-group type   I-42d (122)
! Total magnetization   0.00 μB per formula unit



Arrangement b

! ZrAuC2, relaxed, DFT PBE; values from VASP
&SYSTEM
  ibrav = 0, nat = 4, ntyp = 3
/
ATOMIC_SPECIES
Zr 91.22 Zr.upf
Au 196.97 Au.upf
C 12.01 C.upf
ATOMIC_POSITIONS crystal
Zr 0.0000 0.0000 0.0000
Au 0.5000 0.5000 0.5000
C 0.2500 0.2500 0.2500
C 0.7500 0.7500 0.7500
CELL_PARAMETERS angstrom
0.0000 2.9175 2.9175
2.9175 0.0000 2.9175
- - -

  21. 他甚至没告诉露丝他回来了。

    He did not even let Ruth know he was back .

  22. 你明天能领多少钱?露丝问道。

    How much money will you have tomorrow ? Asked ruth .

  23. 伊斯顿同意回去跟露丝商量一下。

    Easton agreed and said he would mention it to Ruth .

  24. 露丝抬头望着杰克,泪如雨下。

Unrelated to this text: records of crystals:
********
{
  "formula": "Lu4AlPbN2",
  "functional": "GGA-PBE",
  "state": "optimized geometry",
  "lattice": [[3.4266, 0.0000, 0.0000], [-1.7133, 2.9675, 0.0000], [0.0000, 0.0000, 15.0005]],
  "species": ["Lu", "Lu", "Lu", "Lu", "Al", "Pb", "N", "N"],
  "frac_coords": [[0.0000, 0.0000, 0.1588], [0.0000, 0.0000, 0.8412], [0.3333, 0.6667, 0.3299], [0.3333, 0.6667, 0.6701], [0.3333, 0.6667, 0.0000], [0.0000, 0.0000, 0.5000], [0.6667, 0.3333, 0.2487], [0.6667, 0.3333, 0.7513]],
  "e_tot_ev_per_atom": -6.334
}


{
  "formula": "Lu4AlSbN2",
  "functional": "GGA-PBE",
  "state": "optimized geometry",
  "lattice": [[3.4363, 0.0000, 0.0000], [-1.7182, 2.9759, 0.0000], [0.0000, 0.0000, 14.6305]],
  "species": ["Lu", "Lu", "Lu", "Lu", "Al", "Sb", "N", "N"],
  "frac_coords": [[0.0000, 0.0000, 0.1612], [0.0000, 0.0000, 0.8388], [0.3333, 0.6667, 0.3357], [0.3333, 0.6667, 0.6643], [0.3333, 0.6667, 0.0000], [0.0000, 0.0000, 0.5000], [0.6667, 0.3333, 0.2519], [0.6667, 0.3333, 0.7481]],
  "e_tot_ev_per_atom": -6.439
}


{
  "formula": "Lu4Sc2Al3N3",
  "functional": "GGA-PBE",
  "state": "optimized geometry",
  "lattice": [[4.9980, -2.8867, 0.0000], [4.9980, 2.8867, 0.0000], [-3.3498, 0.0000, 14.6554]],
  "species": ["Lu", "Lu", "Lu", "Lu", "Lu", "Lu", "Lu", "Lu", "Sc", "Sc", "Sc", "Sc", "Al", "Al", "Al", "Al", "Al", "Al", "N", "N", "N", "N", "N", "N"],
  "frac_coords": [[0.0322, 0.1962, 0.0919], [0.1351, 0.3022, 0.4081], [0.1962, 0.0322, 0.5919], [0.3022, 0.1351, 0.9081], [0.6978, 0.8649, 0.0919], [0.8038, 0.9678, 0.4081], [0.8649, 0.6978, 0.5919], [0.9678, 0.8038, 0.9081], [0.3593, 0.5264, 0.0797], [0.4736, 0.6407, 0.4203], [0.5264, 0.3593, 0.5797], [0.6407, 0.4736, 0.9203], [0.1351, 0.8649, 0.2500], [0.2993, 0.4180, 0.7500], [0.4180, 0.2993, 0.2500], [0.5820, 0.7007, 0.7500], [0.7007, 0.5820, 0.2500], [0.8649, 0.1351, 0.7500], [0.0000, 0.5000, 0.0000], [0.1664, 0.6667, 0.5000], [0.3333, 0.8336, 0.0000], [0.5000, 0.0000, 0.5000], [0.6667, 0.1664, 0.0000], [0.8336, 0.3333, 0.5000]],
  "e_tot_ev_per_atom": -6.637
}


{
  "formula": "Lu4AlSiN2",
  "functional": "GGA-PBE",
  "state": "optimized geometry",
  "lattice": [[3.3845, 0.0000, 0.0000], [-1.6923, 2.9311, 0.0000], [0.0000, 0.0000, 14.4020]],
  "species": ["Lu", "Lu", "Lu", "Lu", "Al", "Si", "N", "N"],
  "frac_coords": [[0.0000, 0.0000, 0.1505], [0.0000, 0.0000, 0.8495], [0.6667, 0.3333, 0.3323], [0.6667, 0.3333, 0.6677], [0.0000, 0.0000, 0.5000], [0.6667, 0.3333, 0.0000], [0.3333, 0.6667, 0.2415], [0.3333, 0.6667, 0.7585]],
  "e_tot_ev_per_atom": -6.559
}


{
  "formula": "Lu2Ta4Al3N3",
  "functional": "GGA-PBE",
  "state": "optimized geometry",
  "lattice": [[4.7566, -2.7531, 0.0000], [4.7566, 2.7531, 0.0000], [-3.2224, 0.0000, 13.8489]],
  "species": ["Lu", "Lu", "Lu", "Lu", "Ta", "Ta", "Ta", "Ta", "Ta", "Ta", "Ta", "Ta", "Al", "Al", "Al", "Al", "Al", "Al", "N", "N", "N", "N", "N", "N"],
********

    Rose looks up at Jack tears pouring down her face .

  25. 是的露丝,你在飞。迪卡普里奥回应道。

    Yes , Rose . You 're flying , DiCaprio responded .

  26. 露丝被搞得筋疲力尽,一止一次地发脾气。

    Ruth was exhausted and more than once lost her temper .

  27. 这促使露丝抑制住了最后的摊牌。

    This caused Ruth to hold back from a final confrontation .

  28. 是露丝流起了眼泪,激动的愤怒的眼泪,才给了他启示的。

    Ruth in tears-passionate , angry tears-was a revelation to him .

  29. 我觉得露丝和库泊很合适。

    Luce and coop . I think they 'd be perfect .

  30. 太棒了!这次我们的冠军是露丝。祝贺她!

    Excellent ! Our winner this time is Rose . Congratulations !